• Listing:
Entry 1:
DFT (the ωB97M-V functional and the def2-TZVPD basis) results for a molecular structure, C10H20B2F4N6O4Tl.

As for the spin multiplicity: 1. The HOMO energy comes out at -12.49 eV. The total energy is -44740.0694 eV. As for the total charge: +1. Its LUMO energy is -4.11 eV.

Each line ends with the Löwdin charge.
Cartesian coordinates (Å):
Tl -0.40156 -0.21021 -0.84418  1.26
C -1.87825 -2.32943 2.89271  0.03
C -1.42745 -2.00074 1.51483  -0.21
N -1.71984 -0.91431 0.90906  -0.03
O -2.34544 0.11288 1.54025  0.01
B -1.40282 1.01169 2.35600  -1.08
F -0.44908 0.21276 2.97852  0.17
F -2.17260 1.75674 3.17649  0.22
O -0.69192 1.96613 1.40831  0.02
N 0.31416 1.39822 0.69650  -0.03
C 1.51037 1.36833 1.14118  -0.21
C 1.94120 2.02205 2.40593  0.03
C 2.48268 0.56672 0.34552  -0.21
N 1.94659 -0.31679 -0.39962  -0.01
O 2.68296 -1.18385 -1.07766  0.10
B 1.82731 -2.19847 -1.77322  -1.03
F 2.59366 -2.96077 -2.56129  0.25
F 0.82508 -1.42868 -2.48264  0.03
O 1.06794 -3.07672 -0.82708  0.11
N 0.14591 -2.40354 -0.15570  -0.01
C -0.52111 -2.93940 0.78921  -0.21
C -0.33158 -4.34991 1.23235  0.02
C 3.95335 0.73091 0.52032  0.02
H -2.54741 -1.55726 3.25989  0.10
H -1.01203 -2.38420 3.55400  0.12
H -2.38333 -3.29487 2.90903  0.10
H 1.07966 2.43468 2.92031  0.10
H 2.65269 2.82381 2.20113  0.11
H 2.43133 1.29085 3.04975  0.11
H 0.15850 -4.91348 0.44253  0.09
H -1.28675 -4.81196 1.47447  0.10
H 0.30057 -4.38750 2.12212  0.11
H 4.21772 1.78425 0.59601  0.10
H 4.47111 0.28039 -0.32313  0.09
H 4.29388 0.23193 1.43022  0.11
N -2.01147 1.62703 -1.04040  0.00
C -2.66304 1.72111 -2.34036  -0.20
C -1.70978 1.22492 -3.43057  -0.21
N -1.26342 -0.13432 -3.11302  -0.01
H -2.64163 1.42344 -0.26861  0.09
H -1.49583 2.46220 -0.78701  0.10
H -2.96041 2.74339 -2.57297  0.13
H -3.55873 1.09897 -2.33524  0.13
H -0.83050 1.86940 -3.47055  0.13
H -2.21657 1.26734 -4.39489  0.13
H -0.46482 -0.43056 -3.66506  0.10
H -2.00658 -0.81284 -3.24435  0.12

Atoms 1-2, force components in eV/Å:
-0.5 0.4 0.2
0.0 0.1 0.0


Entry 2:
DFT (the ωB97M-V functional and the def2-TZVPD basis) results for 2 unconnected molecules or ions with the total composition C5H17N2O.

The energy above the lowest of the compared OMol25 structures with the same formula, charge and spin comes out at 31.37 kcal per mole. As for the spin multiplicity: 1. The HOMO energy comes out at -12.89 eV. The total energy is -10481.5744 eV. As for the total charge: +1. Its LUMO energy is -3.06 eV.

Each line ends with the Löwdin charge.
Cartesian coordinates (Å):
N -1.79433 -0.19334 -0.82188  0.23
C -0.39041 0.43883 -0.80055  -0.30
C -0.16962 1.13520 -2.13024  -0.02
C 0.56686 -0.64398 -0.33947  -0.15
N -0.00611 -1.21239 0.87542  -0.29
C 0.72519 -2.41876 1.23847  -0.10
C -0.13431 -0.38412 2.07965  -0.06
H -2.20801 -0.31838 -1.74467  0.16
H -1.76049 -1.04562 -0.30650  0.13
H -2.43431 0.47830 -0.39621  0.17
H -0.47659 1.14087 0.02266  0.11
H -1.15898 1.30081 -2.57667  0.09
H 0.12486 2.14536 -2.02941  0.06
H 0.33645 0.59204 -2.91042  0.10
H 0.66493 -1.42885 -1.06150  0.13
H 1.54209 -0.17955 -0.16118  0.15
H 1.76451 -2.32161 1.58662  0.10
H 0.23308 -3.06366 1.95736  0.09
H 0.86611 -3.01117 0.33332  0.08
H -0.52097 -0.99763 2.88089  0.09
H -0.78067 0.45887 1.86625  0.08
H 0.82136 -0.03881 2.45792  0.09
H 1.51154 2.93213 0.69623  0.05
H 1.68593 3.53431 -0.61901  0.07
O 0.99190 3.10114 -0.09708  -0.05

Atoms 1-2, force components in eV/Å:
-0.5 1.7 -0.8
-0.2 -0.1 -0.4


Entry 3:
DFT (the ωB97M-V functional and the def2-TZVPD basis) results for 9 unconnected molecules or ions with the total composition C9H36O9.

The energy above the lowest of the compared OMol25 structures with the same formula, charge and spin comes out at 103.77 kcal per mole. As for the spin multiplicity: 1. The SMILES is CO.CO.CO.CO.CO.CO.CO.CO.CO. The HOMO energy comes out at -9.56 eV. The total energy is -28340.8061 eV. Its LUMO energy is 0.41 eV.

Each line ends with the Löwdin charge.
Cartesian coordinates (Å):
C -3.51146 1.67842 0.85904  -0.14
• Request:
Transcribe the whole of the data above with every line break kept.
• Outcome:
Entry 1:
DFT (the ωB97M-V functional and the def2-TZVPD basis) results for a molecular structure, C10H20B2F4N6O4Tl.

As for the spin multiplicity: 1. The HOMO energy comes out at -12.49 eV. The total energy is -44740.0694 eV. As for the total charge: +1. Its LUMO energy is -4.11 eV.

Each line ends with the Löwdin charge.
Cartesian coordinates (Å):
Tl -0.40156 -0.21021 -0.84418  1.26
C -1.87825 -2.32943 2.89271  0.03
C -1.42745 -2.00074 1.51483  -0.21
N -1.71984 -0.91431 0.90906  -0.03
O -2.34544 0.11288 1.54025  0.01
B -1.40282 1.01169 2.35600  -1.08
F -0.44908 0.21276 2.97852  0.17
F -2.17260 1.75674 3.17649  0.22
O -0.69192 1.96613 1.40831  0.02
N 0.31416 1.39822 0.69650  -0.03
C 1.51037 1.36833 1.14118  -0.21
C 1.94120 2.02205 2.40593  0.03
C 2.48268 0.56672 0.34552  -0.21
N 1.94659 -0.31679 -0.39962  -0.01
O 2.68296 -1.18385 -1.07766  0.10
B 1.82731 -2.19847 -1.77322  -1.03
F 2.59366 -2.96077 -2.56129  0.25
F 0.82508 -1.42868 -2.48264  0.03
O 1.06794 -3.07672 -0.82708  0.11
N 0.14591 -2.40354 -0.15570  -0.01
C -0.52111 -2.93940 0.78921  -0.21
C -0.33158 -4.34991 1.23235  0.02
C 3.95335 0.73091 0.52032  0.02
H -2.54741 -1.55726 3.25989  0.10
H -1.01203 -2.38420 3.55400  0.12
H -2.38333 -3.29487 2.90903  0.10
H 1.07966 2.43468 2.92031  0.10
H 2.65269 2.82381 2.20113  0.11
H 2.43133 1.29085 3.04975  0.11
H 0.15850 -4.91348 0.44253  0.09
H -1.28675 -4.81196 1.47447  0.10
H 0.30057 -4.38750 2.12212  0.11
H 4.21772 1.78425 0.59601  0.10
H 4.47111 0.28039 -0.32313  0.09
H 4.29388 0.23193 1.43022  0.11
N -2.01147 1.62703 -1.04040  0.00
C -2.66304 1.72111 -2.34036  -0.20
C -1.70978 1.22492 -3.43057  -0.21
N -1.26342 -0.13432 -3.11302  -0.01
H -2.64163 1.42344 -0.26861  0.09
H -1.49583 2.46220 -0.78701  0.10
H -2.96041 2.74339 -2.57297  0.13
H -3.55873 1.09897 -2.33524  0.13
H -0.83050 1.86940 -3.47055  0.13
H -2.21657 1.26734 -4.39489  0.13
H -0.46482 -0.43056 -3.66506  0.10
H -2.00658 -0.81284 -3.24435  0.12

Atoms 1-2, force components in eV/Å:
-0.5 0.4 0.2
0.0 0.1 0.0


Entry 2:
DFT (the ωB97M-V functional and the def2-TZVPD basis) results for 2 unconnected molecules or ions with the total composition C5H17N2O.

The energy above the lowest of the compared OMol25 structures with the same formula, charge and spin comes out at 31.37 kcal per mole. As for the spin multiplicity: 1. The HOMO energy comes out at -12.89 eV. The total energy is -10481.5744 eV. As for the total charge: +1. Its LUMO energy is -3.06 eV.

Each line ends with the Löwdin charge.
Cartesian coordinates (Å):
N -1.79433 -0.19334 -0.82188  0.23
C -0.39041 0.43883 -0.80055  -0.30
C -0.16962 1.13520 -2.13024  -0.02
C 0.56686 -0.64398 -0.33947  -0.15
N -0.00611 -1.21239 0.87542  -0.29
C 0.72519 -2.41876 1.23847  -0.10
C -0.13431 -0.38412 2.07965  -0.06
H -2.20801 -0.31838 -1.74467  0.16
H -1.76049 -1.04562 -0.30650  0.13
H -2.43431 0.47830 -0.39621  0.17
H -0.47659 1.14087 0.02266  0.11
H -1.15898 1.30081 -2.57667  0.09
H 0.12486 2.14536 -2.02941  0.06
H 0.33645 0.59204 -2.91042  0.10
H 0.66493 -1.42885 -1.06150  0.13
H 1.54209 -0.17955 -0.16118  0.15
H 1.76451 -2.32161 1.58662  0.10
H 0.23308 -3.06366 1.95736  0.09
H 0.86611 -3.01117 0.33332  0.08
H -0.52097 -0.99763 2.88089  0.09
H -0.78067 0.45887 1.86625  0.08
H 0.82136 -0.03881 2.45792  0.09
H 1.51154 2.93213 0.69623  0.05
H 1.68593 3.53431 -0.61901  0.07
O 0.99190 3.10114 -0.09708  -0.05

Atoms 1-2, force components in eV/Å:
-0.5 1.7 -0.8
-0.2 -0.1 -0.4


Entry 3:
DFT (the ωB97M-V functional and the def2-TZVPD basis) results for 9 unconnected molecules or ions with the total composition C9H36O9.

The energy above the lowest of the compared OMol25 structures with the same formula, charge and spin comes out at 103.77 kcal per mole. As for the spin multiplicity: 1. The SMILES is CO.CO.CO.CO.CO.CO.CO.CO.CO. The HOMO energy comes out at -9.56 eV. The total energy is -28340.8061 eV. Its LUMO energy is 0.41 eV.

Each line ends with the Löwdin charge.
Cartesian coordinates (Å):
C -3.51146 1.67842 0.85904  -0.14